We at Innoventry believe that every business is unique. Henceforth, we have developed special software segment for Restaurant Business. This software version will ease the way of billing, accounting and stock keeping for the restaurant owners and managers. Lets dive into the amazing features the software has to offer for its users.
Restaurants usually have two modes of operation. First being, the Dine-in and other is counter orders which includes online or over the call orders.
Dine-In Business Mode #
To start with, every dine in restaurant has a table layout in the premises. In the Innoventry Software we can configure table layout to take orders & create bills for specific table.
Configure Tables as per Restaurant Layout: #
Step 1:Click on the “Master” menu and then select the “Layout Tables” option.

Step 2: Input the number of rows and, columns as per restaurant table orientation and Click on the “Render” option.

Step 3: Name the tables according to your choice: Click on the “Add Table” option.

Unrelated to this article: materials data =
/*
Entry one
A plane-wave DFT calculation with GGA+U was carried out for MgCo2P2O8F2 after structural relaxation.

abc: 5.2535 5.3579 7.3927
angles: 108.64 107.61 97.04
Fractional coordinates of all 15 atoms:
Mg1 0.0000 0.0000 0.0000
Co1 0.5025 0.8233 0.2294
Co2 0.9765 0.3297 0.7010
P1 0.3964 0.4234 0.4596
P2 0.5670 0.2378 0.9717
O1 0.2324 0.4417 0.6043
O2 0.2502 0.1415 0.8683
O3 0.3084 0.1256 0.2949
O4 0.3151 0.6091 0.3418
O5 0.6468 0.5483 0.0956
O6 0.6804 0.0700 0.1034
O7 0.7035 0.5112 0.5956
O8 0.7337 0.1785 0.8264
F1 0.1307 0.6724 0.9677
F2 0.8243 0.9836 0.4719

## Properties
The value obtained for the volume is 182 Å³/f.u.

***

Entry two
A plane-wave DFT calculation with GGA+U was carried out for MgCo2P2O8F2 after structural relaxation.

abc: 5.1536 5.3808 7.3462
angles: 110.99 107.91 92.01
Fractional coordinates of all 15 atoms:
Mg1 0.0000 0.0000 0.0000
Co1 0.5003 0.0002 0.5011
Co2 0.9990 0.5009 0.0018
P1 0.3877 0.5910 0.7439
P2 0.6112 0.4095 0.2585
O1 0.1818 0.6696 0.8672
O2 0.3096 0.3154 0.0952
O3 0.3373 0.2796 0.6405
O4 0.3417 0.7364 0.5968
O5 0.6579 0.2651 0.4061
O6 0.6643 0.7209 0.3625
O7 0.6886 0.6868 0.9085
O8 0.8155 0.3299 0.1340
F1 0.1451 0.8710 0.2340
F2 0.8561 0.1314 0.7684

## Properties
The value obtained for the volume is 179 Å³/f.u.

***

Which of them is most stable, and which least? Most stable: entry two; least stable: entry one.

***

Entry one
A plane-wave DFT calculation with GGA+U was carried out for CoOF after structural relaxation.

abc: 4.4804 4.4804 6.0860
angles: 90.00 90.00 90.00
Fractional coordinates of all 12 atoms:
Co1 0.0281 0.0281 0.0000
Co2 0.4719 0.5281 0.2500
Co3 0.5281 0.4719 0.7500
Co4 0.9719 0.9719 0.5000
O1 0.1800 0.8200 0.2500
O2 0.3200 0.3200 0.0000
O3 0.6800 0.6800 0.5000
O4 0.8200 0.1800 0.7500
F1 0.2217 0.7783 0.7500
F2 0.2783 0.2783 0.5000
F3 0.7217 0.7217 0.0000
F4 0.7783 0.2217 0.2500

## Properties
The value obtained for the volume is 31 Å³/f.u.

***

Entry two
A plane-wave DFT calculation with GGA+U was carried out for CoOF after structural relaxation.

abc: 4.6488 2.9936 13.8758
angles: 90.00 95.28 90.00
Fractional coordinates of all 18 atoms:
Co1 0.0000 0.0000 0.0000
Co2 0.0358 0.0000 0.6691
Co3 0.0868 0.0000 0.3351
Co4 0.4719 0.5000 0.1674
Co5 0.5189 0.5000 0.8346
Co6 0.5614 0.5000 0.5016
O1 0.1895 0.5000 0.0650
O2 0.2184 0.5000 0.7325
O3 0.2593 0.5000 0.4016
O4 0.3161 0.0000 0.2332
O5 0.8130 0.5000 0.9375
O6 0.8589 0.5000 0.6031
F1 0.3170 0.0000 0.8995
F2 0.3658 0.0000 0.5667
F3 0.6938 0.0000 0.1068
F4 0.7199 0.0000 0.7700
F5 0.7638 0.0000 0.4338
F6 0.8263 0.5000 0.2701

## Properties
The value obtained for the volume is 32 Å³/f.u.

***

Which of them is most stable, and which least? Most stable: entry two; least stable: entry one.

***

Entry one
A plane-wave DFT calculation with GGA+U was carried out for Co3OF5 after structural relaxation.

abc: 5.6764 5.6781 7.4764
angles: 72.51 72.67 71.68
Fractional coordinates of all 18 atoms:
Co1 0.0000 0.0000 0.0000
Co2 0.0134 0.0047 0.4970
*/
The materials data stop here =

Insert the name, select position and click on the “OK” button. The tables will be named accordingly.

The user may Delete or Edit the tables after selecting the tables.

Step 5: After naming all the tables, click on the “OK” button.

Create table wise order: #
In restaurant business, the orders are created usually by the table number. All the items ordered for the tables are finalized and billed accordingly in the end. In Innoventry, the same can be done as follows:
Step 1: Click on the “Transaction” menu and select “Restaurant Sale” option.

Step 2: Select the table by clicking on it, the table will be highlighted as occupied.
Add items which have been ordered with quantity. Once items are confirmed by the guest, you can confirm the items by clicking on the ‘Confirm Items’ button. Unconfirm items will be visible in blue color.Once the user clicks on the ‘Confirm Items’ option, the items are displayed in black font.
Also, once the button is clicked, the order is printed as the Kitchen Order Ticket (KOT) in the Kitchen as well as at the billing counter if the settings are enabled. Kitchen Order Tickets are sequential in nature, containing details like table number, the order, quantity of each dish, time of order and any specifications regarding the cooking of that particular dish.
Through the KOT, the kitchen and the chefs are automatically informed what is the next dish to be prepared and also from the ‘Notes’ textbox in the below snap we can print any specific requirements (such as if a dish has to be non-spicy or any ingredient the guest is allergic to). This pretty much fast tracks the process. We will understand how to enable the settings in Enable Kitchen Order Ticket section of the article.
The items can also be deleted using the ‘Delete’ button after selecting the item.

Step 3: Once guest is done with his meal & ask for bill , click on the “Finalize Bill” option to open the sale dialog box.

Step 4:
Note that the items, quantity, rate & total amount in the invoice are automatically imported from the Restaurant Sale option making it even simpler for the user. Click on the “Save” option to enter payment details & print invoice.

Over The Counter Sale Mode #
In case of over the counter sale or if order is received online or over the call use the following steps:
Step 1: To create order and invoice for these types of order. Click on the “Sale” option.

**The article is interrupted by data records**
┌──
[1]
# FeN3F6, relaxed, DFT PBE+U
data_FeN3F6
_cell_length_a 5.9431
_cell_length_b 6.1691
_cell_length_c 6.3273
_cell_angle_alpha 92.20
_cell_angle_beta 117.60
_cell_angle_gamma 115.03
_space_group_name_H-M_alt 'P 1'
_space_group_IT_number 1
_space_group_name_Hall 'P 1'
loop_
_atom_site_label
_atom_site_fract_x
_atom_site_fract_y
_atom_site_fract_z
F1 0.1061 0.3266 0.3288
F2 0.0831 0.8252 0.2624
F3 0.4008 0.2256 0.0868
F4 0.5224 0.7607 0.9554
F5 0.8209 0.1914 0.7893
F6 0.8705 0.7417 0.7071
N1 0.5936 0.2284 0.7438
N2 0.4952 0.7415 0.1558
N3 0.0207 0.4097 0.4637
Fe1 0.0670 0.9543 0.0106
# Energy relative to the elements, eV per atom: -0.289
# V, Å³ per atom: 17.817
# Uncorrected energy, eV/atom: -4.283


[2]
# MnP2O7, relaxed, DFT PBE+U
data_MnP2O7
_cell_length_a 6.5741
_cell_length_b 6.5741
_cell_length_c 6.8077
_cell_angle_alpha 68.26
_cell_angle_beta 68.26
_cell_angle_gamma 80.01
_space_group_name_H-M_alt 'P 1'
_space_group_IT_number 1
_space_group_name_Hall 'P 1'
loop_
_atom_site_label
_atom_site_fract_x
_atom_site_fract_y
_atom_site_fract_z
O1 0.4555 0.7654 0.1779
O2 0.6407 0.6407 0.5031
O3 0.7654 0.4555 0.1779
O4 0.2887 0.9866 0.5165
O5 0.7113 0.0134 0.4835
O6 0.8584 0.8584 0.0032
O7 0.5445 0.2346 0.8221
O8 0.9866 0.2887 0.5165
O9 0.3593 0.3593 0.4969
O10 0.1416 0.1416 0.9968
O11 0.2346 0.5445 0.8221
O12 0.0134 0.7113 0.4835
O13 0.6760 0.6760 0.8360
O14 0.3240 0.3240 0.1640
P1 0.6939 0.6939 0.0571
P2 0.3061 0.3061 0.9429
P3 0.7723 0.7723 0.5656
P4 0.2277 0.2277 0.4344
Mn1 0.6856 0.3144 0.5000
Mn2 0.3144 0.6856 0.5000
# Energy relative to the elements, eV per atom: -2.260
# V, Å³ per atom: 12.682
# Uncorrected energy, eV/atom: -7.074


[3]
# MgFe6O6F6, relaxed, DFT PBE+U
data_MgFe6O6F6
_cell_length_a 5.1760
_cell_length_b 14.4332
_cell_length_c 3.1046
_cell_angle_alpha 90.13
_cell_angle_beta 89.68
_cell_angle_gamma 97.89
_space_group_name_H-M_alt 'P 1'
_space_group_IT_number 1
_space_group_name_Hall 'P 1'
loop_
_atom_site_label
_atom_site_fract_x
_atom_site_fract_y
_atom_site_fract_z
Fe1 0.5235 0.1793 0.5048
Fe2 0.0272 0.0214 0.0092
Fe3 0.5443 0.4803 0.5002
Fe4 0.3531 0.8427 0.5311
Fe5 0.1670 0.6263 0.0083
Fe6 0.0363 0.3293 0.0041
F1 0.2312 0.2597 0.5035
F2 0.8601 0.4155 0.5036
F3 0.5949 0.9118 0.0316
F4 0.6749 0.7647 0.5390
F5 0.7980 0.5696 0.0099
F6 0.8362 0.0763 0.5097
O1 0.3376 0.0986 0.0061
O2 0.1697 0.7563 0.0238
O3 0.0556 0.9249 0.5143
O4 0.3281 0.5887 0.5063
O5 0.3733 0.4273 0.0012
O6 0.7122 0.2364 0.0043
Mg1 0.8630 0.8245 0.0392
# Energy relative to the elements, eV per atom: -2.121
# V, Å³ per atom: 12.091
# Uncorrected energy, eV/atom: -5.972


[4]
# CaVP2O7, relaxed, DFT PBE+U
data_CaVP2O7
_cell_length_a 8.9058
_cell_length_b 7.4254
_cell_length_c 9.3087
_cell_angle_alpha 64.37
_cell_angle_beta 90.00
_cell_angle_gamma 90.00
_space_group_name_H-M_alt 'P 1'
_space_group_IT_number 1
_space_group_name_Hall 'P 1'
loop_
_atom_site_label
_atom_site_fract_x
_atom_site_fract_y
_atom_site_fract_z
O1 0.1110 0.4723 0.1485
└──
**Back to the article**

Step 2: Here the bill can be generated after adding the ordered dishes.
>Select the table number from the drop down menu.
>Select the Dish from the drop down list.
> Enter the ordered quantity.
> Click on the ‘Add Item’ option to add the items. Repeat if more items are ordered.
> Click on the ‘Save’ button to Save the invoice.

Step 3: Enter the amount paid. Click on the ‘OK’ button to complete the transaction and then the print preview of the bill will be generated which can be printed.

Enabling Kitchen Order Ticket Printing and Counter Ticket Printing Simultaneously: #
Another very important feature which we have included in the software is that we can print the order bill on the counter printer as well as in the kitchen i.e. kitchen order ticket. To enable this setting:
Step 1: Go to the “Setup” menu and then select “Settings“.

Step 2: Scroll down and click on the “Restaurant Settings“.

What comes next are calculated crystals, not part of the page:
(one)
YMg14Fe | PBE | relaxed

Unit cell a=6.396 b=6.396 c=10.210 alpha=90.00 beta=90.00 gamma=120.00
Element x y z (fractional)
Mg: 0.329 0.658 0.861
Mg: 0.669 0.831 0.625
Mg: 0.329 0.171 0.861
Mg: 0.669 0.338 0.625
Mg: 0.329 0.171 0.389
Mg: 0.833 0.667 0.368
Mg: 0.833 0.667 0.882
Mg: 0.162 0.831 0.625
Y: 0.167 0.333 0.125
Mg: 0.661 0.322 0.125
Mg: 0.329 0.658 0.389
Mg: 0.842 0.171 0.389
Fe: 0.167 0.333 0.625
Mg: 0.842 0.171 0.861
Mg: 0.661 0.839 0.125
Mg: 0.178 0.839 0.125

symmetry: P-6m2 (187)
crystal system: hexagonal

---

(two)
YMg14Fe | PBE | relaxed

Unit cell a=6.431 b=6.144 c=10.216 alpha=90.00 beta=90.00 gamma=118.53
Element x y z (fractional)
Mg: 0.337 0.162 0.878
Mg: 0.636 0.308 0.125
Mg: 0.663 0.336 0.625
Mg: 0.170 0.335 0.625
Mg: 0.865 0.683 0.346
Mg: 0.636 0.828 0.125
Mg: 0.663 0.827 0.625
Mg: 0.865 0.683 0.904
Y: 0.142 0.321 0.125
Mg: 0.337 0.675 0.878
Mg: 0.337 0.675 0.372
Mg: 0.837 0.169 0.387
Mg: 0.161 0.830 0.625
Fe: 0.176 0.838 0.125
Mg: 0.837 0.169 0.863
Mg: 0.337 0.162 0.372

symmetry: Amm2 (38)
crystal system: orthorhombic

---

Most favorable structure: (one). The second most favorable one is 0.7 kJ/mol of atoms above it.

---

(one)
Mg6ZrFe | PBE | relaxed

Unit cell a=4.932 b=5.794 c=11.229 alpha=90.00 beta=90.00 gamma=90.00
Element x y z (fractional)
Mg: 0.500 0.251 0.926
Mg: 0.000 0.256 0.083
Fe: 0.500 0.000 0.668
Mg: 0.000 0.756 0.583
Zr: 0.500 0.000 0.178
Mg: 0.000 0.744 0.083
Mg: 0.000 0.500 0.829
Zr: 0.500 0.500 0.678
Mg: 0.500 0.749 0.926
Mg: 0.500 0.751 0.426
Mg: 0.000 0.500 0.307
Mg: 0.000 0.000 0.807
Mg: 0.000 0.244 0.583
Mg: 0.000 0.000 0.329
Fe: 0.500 0.500 0.168
Mg: 0.500 0.249 0.426

---

(two)
Mg6ZrFe | PBE | relaxed

Unit cell a=4.870 b=6.142 c=11.149 alpha=90.00 beta=90.00 gamma=90.00
Element x y z (fractional)
Mg: 0.500 0.744 0.421
Mg: 0.500 0.256 0.421
Mg: 0.500 0.000 0.173
Fe: 0.500 0.500 0.191
Mg: 0.000 0.242 0.575
Fe: 0.500 0.000 0.691
Mg: 0.000 0.500 0.833
Mg: 0.000 0.742 0.075
Mg: 0.000 0.258 0.075
Mg: 0.500 0.500 0.673
Mg: 0.000 0.758 0.575
Zr: 0.000 0.500 0.311
Mg: 0.500 0.244 0.921
Zr: 0.000 0.000 0.811
Mg: 0.000 0.000 0.333
Mg: 0.500 0.756 0.921

---

Most favorable structure: (two). The second most favorable one is 4.4 kJ/mol of atoms above it.

---

(one)
Mg14ZrFe | PBE | relaxed

Unit cell a=6.272 b=6.272 c=10.024 alpha=90.00 beta=90.00 gamma=120.00
Element x y z (fractional)
Mg: 0.850 0.175 0.389
Mg: 0.833 0.667 0.365
Mg: 0.850 0.175 0.861
Mg: 0.833 0.667 0.885
Mg: 0.661 0.323 0.125
Mg: 0.162 0.831 0.625
Mg: 0.325 0.175 0.861
Mg: 0.669 0.338 0.625
Mg: 0.177 0.839 0.125
Fe: 0.167 0.333 0.625
Mg: 0.325 0.650 0.861
Mg: 0.325 0.175 0.389
Mg: 0.325 0.650 0.389
Mg: 0.661 0.839 0.125
Zr: 0.167 0.333 0.125
Mg: 0.669 0.831 0.625

symmetry: P-6m2 (187)
crystal system: hexagonal

---

(two)
Mg14ZrFe | PBE | relaxed

Unit cell a=6.364 b=6.172 c=10.073 alpha=90.00 beta=90.00 gamma=119.01
Element x y z (fractional)
Mg: 0.332 0.669 0.366
Mg: 0.654 0.320 0.125
Mg: 0.332 0.162 0.366
The page goes on:

Step 3: Click on the following checkboxes as shown in the image below to enable printing on the kitchen as well as the counter printer. The user can select the printer using the browse button as shown. Finally, click on the “Save & Close” option to save and close the settings.
Now, as explained earlier once in the Restaurant sale option the user clicks on the ‘Confirm Items’ button. The confirmed items will be printed in the Kitchen Printer as KOT.